Block Island Wind/US Department of EnergyPresident Trump has long been a supporter of traditional energy. During his campaign, he spoke negatively about electric vehicles, wind, and other renewable energy sources. But in his first day in office, the new president began a historic shift in US energy policy, away from green energy and back to hydrocarbon energy.On January 20, 2025, President Trump signed five wide-ranging executive orders that radically change United States energy and climate … [Read more...]
Inserted here: crystal structures:
........
GGA-PBE CsCdBr2F, relaxed; uncorrected formation energy = -1.6039 eV/atom; calculated volume = 29.50 Å³ per atom; energy = -3.001 eV per atom; DOS(E_F) = 0.00 states/eV/cell
1.0
5.711 0.000 0.000
0.000 5.711 0.000
0.000 0.000 4.523
Cs Cd Br F
1 1 2 1
Cartesian
0.000 0.000 0.000
2.855 2.855 2.262
0.000 2.855 2.262
2.855 0.000 2.262
2.855 2.855 0.000

=====

GGA-PBE CdMoSe2, relaxed; uncorrected formation energy = 0.0537 eV/atom; calculated volume = 21.13 Å³ per atom; energy = -4.625 eV per atom; DOS(E_F) = 4.02 states/eV/cell
1.0
3.084 0.000 0.000
0.000 3.084 0.000
0.000 0.000 8.886
Cd Mo Se
1 1 2
Cartesian
0.000 0.000 0.000
1.542 1.542 2.108
0.000 0.000 3.474
1.542 1.542 6.628

=====

GGA-PBE NiMoP2, relaxed; calculated volume = 13.51 Å³ per atom; energy = -7.098 eV per atom; DOS(E_F) = 2.15 states/eV/cell
1.0
3.081 0.000 0.000
0.000 3.087 0.000
-1.461 0.000 5.681
Ni Mo P
1 1 2
Cartesian
0.000 0.000 0.000
-0.731 0.000 2.841
0.780 1.544 1.490
0.840 1.544 4.191
........
Here the page continues:
Europe’s Energy Debacle Is a Warning for U.S.
Europe---light and dark. What happens if the grid fails for lack of sufficient generation?(Illustration by OpenAI.)When it comes to global energy policy, few narratives are as instructive – and as cautionary – as Europe's ill-fated experiment with wind and solar energy. The continent’s self-inflicted woes contain lessons that should be taken to heart by those formulating U.S. energy strategy for the incoming administration.Europe’s Misplaced Trust in Wind and SolarEurope's embrace of … [Read more...]
Rolls-Royce’s SMR Needs 10,000 Times Less Land Than Wind Energy, Proves ‘Iron Law Of Power Density’
Last month, Rolls-Royce said that it expects to receive regulatory approval from the British government by 2024 for its 470-megawatt small modular reactor and that it will begin producing power on Britain's electric grid by 2029.Will that happen? Time will tell. Many nuclear projects and startups have blown past their projected in-service dates. But Rolls-Royce’s announcement is important for two reasons. First, it adds more credence to the notion that a global nuclear renaissance is, in fact, … [Read more...]
Real Threats to Biodiversity and Humanity
References to climate change almost guarantee funding, even for research topics of little interest beyond academia and eco-activists. Polls reveal that most people worry most about energy and food prices, crime, living standards, Putin’s war on Ukraine, and increasing efforts to control their lives. A recent study by Rutgers University scientists sought to determine how much diversity is required among bee species to sustain wild plant populations. They concluded that ecosystems rely … [Read more...]
Can Green Energy Cause a Global Food Shortage?
[Data records from another source follow]
+++
Record 1
Entry from Alexandria via LeMat-Bulk: a relaxed Cu2Te2Pb crystal (PBE).

As for the crystal system: tetragonal. Its uncorrected formation energy is 0.51 eV per formula unit.

The structure belongs to space group P4/mbm (No. 127); the cell edges are 7.730, 7.730 and 3.750 Å and the angles 90.00°, 90.00° and 90.00°. The asymmetric unit holds Cu at (0.114, 0.386, 0.000), Te at (0.175, 0.675, 0.500) and Pb at (0.000, 0.000, 0.000).

=====

Record 2
Entry from Alexandria via LeMat-Bulk: a relaxed ZrInFe2 crystal (PBE).

As for the crystal system: tetragonal. For the calculated total energy, the calculation gives -7.0094 eV per atom.

The structure belongs to space group P4/mmm (No. 123); the cell edges are 3.296, 3.296 and 6.092 Å and the angles 90.00°, 90.00° and 90.00°. The asymmetric unit holds Zr at (0.000, 0.000, 0.000), In at (0.000, 0.000, 0.500) and Fe at (0.500, 0.500, 0.238).

=====

Record 3
Entry from Alexandria via LeMat-Bulk: a relaxed ErZrHgIr crystal (PBE).

As for the crystal system: cubic. For the calculated total energy, the calculation gives -6.0375 eV per atom.

The structure belongs to space group F-43m (No. 216); the cell edges are 6.939, 6.939 and 6.939 Å and the angles 90.00°, 90.00° and 90.00°. The asymmetric unit holds Er at (0.000, 0.000, 0.000), Zr at (0.000, 0.000, 0.500), Hg at (0.250, 0.250, 0.750) and Ir at (0.250, 0.250, 0.250).

=====

Record 4
Entry from Alexandria via LeMat-Bulk: a relaxed Ho12MgSc7 crystal (PBE).

As for the crystal system: trigonal. For the calculated total energy, the calculation gives -4.8877 eV per atom.

The structure belongs to space group R-3 (No. 148, hexagonal axes); the cell edges are 14.3126, 14.3126 and 9.7182 Å and the angles 90.00°, 90.00° and 120.00°. The asymmetric unit holds Ho at (0.0186, 0.2558, 0.0595), Ho at (0.0378, 0.1672, 0.7511), Mg at (0.0000, 0.0000, 0.5000), Sc at (0.0000, 0.0000, 0.0000) and Sc at (0.0781, 0.4931, 0.1093).

=====

Record 5
Entry from Alexandria via LeMat-Bulk: a relaxed Er2TlF7 crystal (PBE).

As for the crystal system: orthorhombic. Its uncorrected formation energy is -37.15 eV per formula unit.

The structure belongs to space group Cmmm (No. 65); the cell edges are 7.006, 11.362 and 4.341 Å and the angles 90.00°, 90.00° and 90.00°. The asymmetric unit holds Er at (0.000, 0.192, 0.000), Tl at (0.000, 0.500, 0.500), F at (0.000, 0.000, 0.000), F at (0.000, 0.201, 0.500) and F at (0.189, 0.354, 0.000).

=====

Record 6
Entry from Alexandria via LeMat-Bulk: a relaxed PmSc2Cd crystal (PBE).

The value obtained for the energy relative to the lowest polymorph listed for this composition is 34 meV per atom. As for the crystal system: tetragonal.

The structure belongs to space group P4/mmm (No. 123); the cell edges are 4.668, 4.668 and 4.698 Å and the angles 90.00°, 90.00° and 90.00°. The asymmetric unit holds Pm at (0.000, 0.000, 0.000), Sc at (0.000, 0.500, 0.500) and Cd at (0.500, 0.500, 0.000).

=====

Record 7
+++
[The entry goes on]
China is one of the world’s largest food producers. Recently an acute power shortage there reduced food output. This sent markets into panic. Severe global food shortages and increased prices could follow.What caused China’s power shortage? Over-reliance on renewable energy. It led to insufficient and unreliable electricity generation. That harmed domestic food production and global food security.Many people condemn coal. They espouse “green” policies. But these lead to power blackouts. And … [Read more...]
Paris Panic: Governments Fail to Meet Their Climate Commitments, and Some Are Getting Farther Away
Political leaders and media personalities are fond of saying climate change poses an existential threat to humans and the planet. The weight of scientific evidence doesn’t support this oft-made claim, and national governments around the globe seem to acknowledge this by their actions.Despite what is reported almost daily in the mainstream media, data from the United Nations Intergovernmental Panel on Climate Change (IPCC) and the U.S. National Oceanic and Atmospheric Administration show no … [Read more...]
-- begin --
Entry 1:
{
  "formula": "Ac6TlRh",
  "functional": "PBE",
  "state": "relaxed",
  "lattice_angstrom": [[4.1822, -5.7343, 0.0000], [4.1822, 5.7343, 0.0000], [-1.6941, 0.0000, 6.9990]],
  "species": ["Ac", "Ac", "Ac", "Ac", "Ac", "Ac", "Tl", "Rh"],
  "frac_coords": [[0.0370, 0.6805, 0.7211], [0.2822, 0.2822, 0.8373], [0.3195, 0.9630, 0.2789], [0.6805, 0.0370, 0.7211], [0.7178, 0.7178, 0.1627], [0.9630, 0.3195, 0.2789], [0.5000, 0.5000, 0.5000], [0.0000, 0.0000, 0.0000]],
  "e_form_mev_per_atom": -167,
  "total_energy_ev_per_cell": -35.704,
  "crystal_system": "monoclinic"
}

---

Entry 2:
{
  "formula": "CuHg3Cl",
  "functional": "PBE",
  "state": "relaxed",
  "lattice_angstrom": [[5.7620, 0.0000, 0.0000], [0.0000, 5.7620, 0.0000], [0.0000, 0.0000, 5.7620]],
  "species": ["Cu", "Hg", "Hg", "Hg", "Cl"],
  "frac_coords": [[0.0000, 0.0000, 0.0000], [0.0000, 0.5000, 0.5000], [0.5000, 0.0000, 0.5000], [0.5000, 0.5000, 0.0000], [0.5000, 0.5000, 0.5000]],
  "total_energy_ev_per_cell": -3.473,
  "raw_formation_energy_ev_per_atom": 0.675,
-- stop --
== The page goes on ==
Renewable Failure and Renewable Threats to Wildlife Become a Global Norm
As the Paris climate agreement pushes for more and more renewable installments globally, reports of failure of installed renewables, especially wind and solar, are also becoming increasingly common.Nobody wishes for wind and solar to fail. After all, billions of dollars have been invested in them. I, like many others, desire to see renewables strengthen the existing energy infrastructure globally.Sadly, and inevitably, though, the drawbacks and limitations of wind and solar keep resurfacing, no … [Read more...]
Battery Storage—An Infinitesimal Part of Electrical Power
Large-scale storage of electricity is the latest proposed solution to boost the deployment of renewables. Renewable energy advocates, businesses, and state governments plan to use batteries to store electricity to solve the problem of intermittent wind and solar output. But large-scale storage is only an insignificant part of the electrical power industry and doomed to remain so for decades to come.Last month, Senator Susan Collins of Maine introduced a bi-partisan bill named “The Better Energy … [Read more...]
How the Wind Industry Gains by Losing
So you want to make a profit by selling what you produce. What do you do? Sell it for more than it costs you.But that's so old fashioned!Nowadays, you just get into the wind industry. You find state or local policymakers eager to virtue signal by supporting your renewable-, zero-carbon energy tech. And you get them to sign a contract that guarantees you get positive payment for your product even when its market price is negative.Rate- and taxpayers in Georgetown, TX, a small town outside the … [Read more...]
Are Wind Factories a Clear Case of Environmental Injustice?
Not many people can combine downright poetic writing with clear arguments about justice and economics. Radio broadcaster Bob Lonsberry did it today on his blog, "To the Metal Beasts on the Hilltop." Here's the start: Why do you think wind and solar projects in New York invariably end up in the poorest, most rural and politically powerless communities? Seriously. In this day and age, are we going to look the other way as community after community across upstate New York is stuck with … [Read more...]